I was everything my parents had brought me up to be. I went to the biggest, most influential Hunter Academy. Graduated top of my class, if only by a few points. I had killed easily upwards of a hundred contracts with assistance and just over a dozen completely by myself. And that was all since graduation, almost a year ago. I was already on my way to be the best. My goal was a Golden Licsence, like my father. A free for hire Hunter, paid sometimes millions of dollars for a single contract. Only the best of the best of the thousands of kids who applied to the school, graduate to get a bronze licence. A silver was even better still, rare even among accomplished hunters. A golden? Well, they were practically a legend, unheard of.
Well, I was bred for combat. Both my parents managed to get a silver licence at a young age, although only my father was considered good enough to get a Gold Licence around the same time he married my mother at age thirty two. Everyone expected me to take after my legendary father, to be the next hunter with a Golden Licence. I was every bit as good as he was at my age. Others that knew him say I was even better than he was at my age. I was a natural with a sword. I was the best with a bow. No one could beat me in hand to hand.
They said I was born to be a Hunter. Born to take over my father's legacy. Born to take the lives of the monsters that ran over our planet. Born for greatness.
But, sometimes, life has different plans. Life was like that, it toys with things that it finds nice, and apparently I was shiney.
"Too cheap." I say, handing a contract back to Michelle, "I'll leave that one for someone else. I don't want any small fry." It was a vampire fledgling, newly turned and too easy to kill. Practically a newborn baby. Plus a bounty of three hundred was far too cheap. I'd have to be starving to go after a one star.
_Someone pasted calculated crystals at this point_
........
1.
Diffraction record for Ce5Zn2. The powder diffraction line list is simulated, not measured: it uses a structure optimized by DFT (PBE) and Cu Kα (λ = 1.5418 Å).

Peak list (8 most intense, 2θ = 10–80°, low angle first)
- 33.92°, rel. 100.0
- 34.46°, rel. 95.4
- 38.12°, rel. 35.6
- 39.42°, rel. 32.7
- 41.46°, rel. 29.0
- 57.58°, rel. 21.4
- 58.54°, rel. 20.3
- 65.88°, rel. 13.7

Structural model:
a = 10.3953 Å, b = 4.3556 Å, c = 7.3918 Å
α = 90.00°, β = 100.39°, γ = 90.00°
Space group C2/m (No. 12)
Unique sites:
Ce  0.0000  0.0000  0.0000 [2 per cell]
Ce  0.1511  0.0000  0.4354 [4 per cell]
Ce  0.2114  0.5000  0.1565 [4 per cell]
Zn  0.0686  0.5000  0.7096 [4 per cell]


2.
Diffraction record for SrCaAl4Si4O20. The powder diffraction line list is simulated, not measured: it uses a structure optimized by DFT (PBE) and Cu Kα (λ = 1.5418 Å).

Peak list (8 most intense, 2θ = 10–80°, low angle first)
- 20.93°, rel. 43.1
- 27.18°, rel. 33.7
- 32.72°, rel. 42.9
- 33.34°, rel. 76.1
- 33.83°, rel. 100.0
- 36.18°, rel. 34.1
- 41.86°, rel. 43.4
- 42.32°, rel. 37.2

Structural model:
a = 5.3317 Å, b = 13.1216 Å, c = 5.4065 Å
α = 90.00°, β = 113.38°, γ = 90.00°
Space group Pm (No. 6)
Unique sites:
Sr  0.0000  0.0000  0.0000 [1 per cell]
Ca  0.3468  0.5000  0.6841 [1 per cell]
Al  0.1792  0.2521  0.3435 [2 per cell]
Al  0.6785  0.2533  0.8419 [2 per cell]
Si  0.6685  0.1224  0.3698 [2 per cell]
Si  0.6886  0.3811  0.3170 [2 per cell]
O  0.0211  0.3655  0.4435 [2 per cell]
O  0.0278  0.3156  0.9997 [2 per cell]
O  0.3313  0.1884  0.6881 [2 per cell]
O  0.3383  0.1400  0.2433 [2 per cell]
O  0.4090  0.0000  0.8238 [1 per cell]
O  0.5347  0.3205  0.4849 [2 per cell]
O  0.5552  0.3612  0.9915 [2 per cell]
O  0.6163  0.5000  0.3698 [1 per cell]
O  0.7354  0.0000  0.3361 [1 per cell]
O  0.8053  0.1479  0.6910 [2 per cell]
O  0.8217  0.1818  0.1989 [2 per cell]
O  0.9875  0.5000  0.8708 [1 per cell]


3.
Diffraction record for AcGa5Cu3. The powder diffraction line list is simulated, not measured: it uses a structure optimized by DFT (PBE) and Cu Kα (λ = 1.5418 Å).

Peak list (8 most intense, 2θ = 10–80°, low angle first)
- 29.24°, rel. 31.2
- 30.58°, rel. 53.9
- 31.19°, rel. 100.0
- 33.72°, rel. 96.0
- 35.48°, rel. 35.7
- 36.44°, rel. 47.3
- 44.45°, rel. 55.7
- 53.25°, rel. 38.4

Structural model:
a = 4.0767 Å, b = 12.5812 Å, c = 12.7751 Å
α = 90.00°, β = 90.00°, γ = 90.00°
Space group Cmcm (No. 63)
Unique sites:
Ac  0.0000  0.1659  0.2500 [4 per cell]
Ga  0.0000  0.0000  0.0000 [4 per cell]
Ga  0.0000  0.1983  0.5709 [8 per cell]
Ga  0.0000  0.4520  0.1520 [8 per cell]
Cu  0.0000  0.1196  0.7500 [4 per cell]
Cu  0.0000  0.3878  0.5392 [8 per cell]
........
Michelle looks through the stack again. There were only about half a dozen of them in the immediate area. Most police officers had the basic training on how to deal with vampires. If any of the small fry were seen by a police officer, anyone with basic hand to hand skills and a wooden stake would have a fighting chance. Plus, get a large bonus in their check if it had a bounty on its head.
After looking through them, Michelle scowels, shaking her head, "That's the biggest bounty anywhere near us." She says as I scowl back.
Michelle graduated in the same class as myself almost a year ago. But, she wasn't nearly as skilled as myself. She barely graduated. I had even stayed after school to help the girl with her melee combat and swordsmanship. Both of which she was terrible with. She could dance like it was no one's business, but as soon as you gave her a sword, or expected her to fight, she would simply fall apart. She would turn into a sloppy klutz of a girl. I had used her love for music and dance to make her somewhat acceptable. Even if her fighting style looked like she was doing the tango.
But, she was fantastic with a bow. She wasn't at first, but after hitting the center once, she rarely ever missed. It was that and her constant training with me, that had gotten her through the final trials. They didn't care how you fought as long as you could kill your target. I had been more than happy to help the girl, even if I felt as if she didn't belong in a college that taught people how to kill monsters. But everyone who entered had their own reasons.
Michelle pauses, and begins tapping away on the computer. "Hold on a sec." She says, staring intently at the computer, tapping away. Suddenly she smiles, "I just remembered that I sent Isaiah for a two star. High profile. Four thousand dollars. Isaiah is the fifth person I've sent after it, and he, like all the others, ended up in the hospital. I just checked my emails, and just as I thought, he couldn't finish the contract, like everyone else. Although I'll give you the same warning I gave Isaiah, I suggest you don't go alone to this one."
"Hospital?" I question, ignoring her obvious doubt in my skill. "Not dead?"
"No, that's why he's a high profile. He doesn't change anyone into a vampire and he hasn't killed anyone yet. I figured when I sent Isaiah out he would end up in the hospital. Some of the police officers in the area say the target is a royal." She scoffs, "If it was a Royal, Isaiah and all the police officers that have been going after him would be dead. Although they didn't come out unscathed, they never had any injuries that might have killed them, and even though many of them were bitten, none of them had any signs of any venom."
"Are you sure it's a vampire?"
Michelle shrugs, "Everyone says it is. Last I heard it went by the name Fletcher."
"Who learned its name?" I ask, grabbing a paper as it prints from her computer. I scan over it, noting the three stars at the top right corner of the paper. "I thought you said it was a two star?" I ask.
"Looks like it was recently modified, adding a star and a couple more victims on the map, and some information. The name was added by an officer Denault a couple weeks ago." She says, not taking her eyes off her computer.
The contract had a full description including silver eyes, black hair, and an estimated height of over six feet, though not by much. It even had a place of residence, I note, with shock. Even if the house at the address was boarded up after a terrible fire, they normally don't find a place to hide out in one place. I flip the paper over to see a black and white map with a bunch of red dots scattered in downtown. First spotted was four months ago.
"None of this adds up." I say, looking over it again. "If he's strong enough to stay in one place, why isn't he killing people? Why are all of its victims still alive? If there's only" I count the red dots, "Twenty two victims, It would be dead. There aren't enough victims to sustain it, especially if it isn't draining any of them. I have to talk with Isaiah about this one. Also, you said an Officer Denault?"
She nods, "Yeah, an officer from downtown. Also, If you do speak with Isaiah, tell him I'm sorry."
The article is interrupted by calculated crystals:
<<<
Record 1
Structure and simulated X-ray diffraction stick pattern of DyErZnSi (a structure optimized by DFT (PBE); CuKα).
Lines closer than 0.1° are merged.

Structure:
```
data_DyErZnSi
_cell_length_a 4.044
_cell_length_b 5.764
_cell_length_c 5.764
_cell_angle_alpha 42.27
_cell_angle_beta 90.00
_cell_angle_gamma 90.00
_symmetry_space_group_name_H-M 'P 1'
_symmetry_Int_Tables_number 1
_symmetry_space_group_name_Hall 'P 1'
loop_
_atom_site_label
_atom_site_fract_x
_atom_site_fract_y
_atom_site_fract_z
Dy1 0.000 0.000 0.000
Er1 0.500 0.284 0.284
Zn1 0.500 0.572 0.572
Si1 0.000 0.717 0.717
```

Top 6 peaks for 5° ≤ 2θ ≤ 70°, by intensity:
31.98°, I 100
33.00°, I 51
27.60°, I 47
40.00°, I 36
33.33°, I 26
56.78°, I 22

Record 2
Structure and simulated X-ray diffraction stick pattern of Mg15Hg2Pb2 (a structure optimized by DFT (PBE); CuKα).
Lines closer than 0.1° are merged.

Structure:
```
data_Mg15Hg2Pb2
_cell_length_a 5.784
_cell_length_b 7.663
_cell_length_c 10.823
_cell_angle_alpha 86.63
_cell_angle_beta 85.09
_cell_angle_gamma 70.18
_symmetry_space_group_name_H-M 'P 1'
_symmetry_Int_Tables_number 1
_symmetry_space_group_name_Hall 'P 1'
loop_
_atom_site_label
_atom_site_fract_x
_atom_site_fract_y
_atom_site_fract_z
Mg1 0.000 0.000 0.000
Mg2 0.011 0.142 0.628
Mg3 0.053 0.347 0.133
Mg4 0.117 0.712 0.218
Mg5 0.168 0.761 0.499
Mg6 0.224 0.583 0.941
Mg7 0.256 0.351 0.399
Mg8 0.412 0.391 0.664
Mg9 0.442 0.984 0.249
Mg10 0.555 0.347 0.134
Mg11 0.572 0.956 0.531
Mg12 0.646 0.722 0.041
Mg13 0.666 0.575 0.348
Mg14 0.823 0.405 0.859
Mg15 0.845 0.819 0.769
Hg1 0.351 0.804 0.749
Hg2 0.856 0.536 0.592
Pb1 0.443 0.146 0.911
Pb2 0.873 0.120 0.341
```

Top 6 peaks for 5° ≤ 2θ ≤ 70°, by intensity:
20.90°, I 100
8.20°, I 85
36.63°, I 84
17.77°, I 71
18.81°, I 69
15.01°, I 68

Record 3
Structure and simulated X-ray diffraction stick pattern of PmMgPRh2 (a structure optimized by DFT (PBE); CuKα).
Lines closer than 0.1° are merged.

Structure:
```
data_PmMgPRh2
_cell_length_a 6.512
_cell_length_b 6.512
_cell_length_c 6.512
_cell_angle_alpha 147.14
_cell_angle_beta 142.73
_cell_angle_gamma 50.52
_symmetry_space_group_name_H-M 'P 1'
_symmetry_Int_Tables_number 1
_symmetry_space_group_name_Hall 'P 1'
loop_
_atom_site_label
_atom_site_fract_x
_atom_site_fract_y
_atom_site_fract_z
Pm1 0.000 0.000 0.000
Mg1 0.252 0.752 0.500
P1 0.612 0.612 0.000
Rh1 0.415 0.415 0.000
Rh2 0.736 0.236 0.500
```

Top 6 peaks for 5° ≤ 2θ ≤ 70°, by intensity:
35.95°, I 100
31.32°, I 38
45.71°, I 25
43.49°, I 21
64.93°, I 17
30.35°, I 16

Record 4
Structure and simulated X-ray diffraction stick pattern of Sc3UN4 (a structure optimized by DFT (PBE); CuKα).
Lines closer than 0.1° are merged.

Structure:
```
data_Sc3UN4
_cell_length_a 4.631
_cell_length_b 7.530
_cell_length_c 6.681
_cell_angle_alpha 90.00
_cell_angle_beta 90.00
_cell_angle_gamma 90.00
_symmetry_space_group_name_H-M 'P 1'
_symmetry_Int_Tables_number 1
_symmetry_space_group_name_Hall 'P 1'
loop_
_atom_site_label
_atom_site_fract_x
>>>
I turn to go but pause at the last bit, "Sorry? For what?"
Her eyes are cast down at the ground, "I had a feeling he wasn't capable of taking Fletcher on alone. There is something wrong about this whole thing. I feel like it's my fault he's in the hospital. I was the one who gave him the contract. I'm not going to make the same mistake with you, either. Take either David or your friend Savannah with you. Hell, take both. Just, please don't do this one alone."
I look back down at the contract in my hands, and smile at her, "Like I would go after a high profile three star by myself." I answer with.
She stares at me, "Look, I'm trusting you with this one. I didn't know it was bumped up to a three star. It's probably Isaiah who talked them up to another star. Look, I know he's leagues beneath you, but he's by no means a weakling. If he says Fletcher is dangerous enough for another star, I believe him."
I wave off her warning, "Don't worry so much, Michelle. I don't plan on letting no blood sucker take me down." I state matter-of-factly.
"No one ever does, Quinn!" she calls after me. "But shit happens!" I close the door, shrugging off her warning. I liked Michelle, but she was always so cautious. How could you get better, if you don't push yourself? I rarely came from a fight unscathed. Although, I rarely ended up in the hospital either. I almost always ended up with some sort of injury. If I didn't, it was considered a boring fight, and those are no fun.
I head for the hospital first, her warnings falling on deaf ears. I wanted to get Isaiah's take on this vampire. I wanted to hear what happened and see how bad his injuries were. If he wanted it bumped up to a three star, he must be pretty banged up.
Really proud of this one, I dont know where its going, but I like it. :)